Reporter shoots video of Biden's inauguration security arrangements, Internet says 'charge him for sedition'

Just days after New Jersey Rep Mike Sherrill claimed that she witnessed lawmakers doing "reconnaissance" tours just a day before the Capitol riots, a right-wing media outlet was slammed for showing viewers the details of all security measures that have been taken to ensure that President-elect Joe Biden's inauguration will be a smooth and uneventful one.
A series of videos were posted by Right Side Broadcasting that showed the specific roads blocked off in Washington, DC, and what security is at precise areas in the city. Photos of fences and trucks blocking roads in and around the venue of the event have been posted by multiple news outlets anyway, giving people a pretty good idea of the increased security measures.
However, Right Side Broadcasting reporter Brian Glenn felt the need to walk through the streets, pointing out specific roads, corners, and directions in multiple videos. "We're going to take you on a journey around the city here of what exactly is going on here, as is very much a different scene here in Washington, D.C.," says Glenn in the video.
"Right Side Broadcasting News, a Trump supporting independent network with 1.39m YouTube subscribers, filmed an interesting livestream segment this evening doing a walkthrough of DC security measures for their audience. Over 254k people have watched the 36-minute video as of this tweet, in which Right Side Broadcasting Network anchor Brian Glenn shows his audience in detail where security checkpoints are, what they look like, and how to maneuver around locked down Washington DC," a journalist for The Intercept captioned the video of Glenn's pre-inaugural coverage. Legal analyst Marcy Wheeler characterized it as "Pro Trump media doing reconnaissance of the Inauguration security" on Twitter.
Over 254k people have watched the 36 minute video as of this tweet, in which Right Side Broadcasting Network anchor Brian Glenn shows his audience in detail where security checkpoints are, what they look like, and how to maneuver around locked down Washington DC.
— Eoin Higgins (@EoinHiggins_) January 17, 2021
Pro Trump media doing reconnaissance of the Inauguration security.
— Dr. emptywheel (@emptywheel) January 17, 2021
What: Were the QAnon Congressladies unavailable?
Misplaced materials data
+++
[1]
# LiCa2Pm, relaxed, DFT PBE
# Density: 2.80 g/cm³
# Uncorrected energy: -2.583 eV/atom
# Magnetic moment: 0.0 μB per formula unit
# Energy above the most stable polymorph in this dataset: 0 meV/atom
data_LiCa2Pm
_space_group_name_H-M_alt 'P 4/m m m'
_space_group_IT_number 123
_space_group_name_Hall '-P 4 2'
_cell_length_a 4.068
_cell_length_b 4.068
_cell_length_c 8.314
_cell_angle_alpha 90.00
_cell_angle_beta 90.00
_cell_angle_gamma 90.00
loop_
_atom_site_label
_atom_site_fract_x
_atom_site_fract_y
_atom_site_fract_z
Li1 0.000 0.000 0.000
Ca1 0.500 0.500 0.229
Pm1 0.000 0.000 0.500

=====

[2]
# Rb2ZnC, relaxed, DFT PBE
# Density: 2.74 g/cm³
# Uncorrected energy: -2.470 eV/atom
# Magnetic moment: 0.0 μB per formula unit
# Energy above the most stable polymorph in this dataset: 0 meV/atom
data_Rb2ZnC
_space_group_name_H-M_alt 'I -4 2 d'
_space_group_IT_number 122
_space_group_name_Hall 'I -4 2bw'
_cell_length_a 12.634
_cell_length_b 12.634
_cell_length_c 3.776
_cell_angle_alpha 90.00
_cell_angle_beta 90.00
_cell_angle_gamma 90.00
loop_
_atom_site_label
_atom_site_fract_x
_atom_site_fract_y
_atom_site_fract_z
Rb1 0.036 0.250 0.125
Zn1 0.000 0.000 0.500
C1 0.000 0.000 0.000

=====

[3]
# LiDyGaAg, relaxed, DFT PBE
# Density: 7.66 g/cm³
# Uncorrected energy: -3.453 eV/atom
# Magnetic moment: 0.0 μB per formula unit
data_LiDyGaAg
_space_group_name_H-M_alt 'F -4 3 m'
_space_group_IT_number 216
_space_group_name_Hall 'F -4 2 3'
_cell_length_a 6.702
_cell_length_b 6.702
_cell_length_c 6.702
_cell_angle_alpha 90.00
_cell_angle_beta 90.00
_cell_angle_gamma 90.00
loop_
_atom_site_label
_atom_site_fract_x
_atom_site_fract_y
_atom_site_fract_z
Li1 0.000 0.000 0.000
Dy1 0.250 0.250 0.250
Ga1 0.000 0.000 0.500
Ag1 0.250 0.250 0.750

=====

[4]
# MoP, relaxed, DFT PBE
# Density: 7.37 g/cm³
# Uncorrected energy: -8.584 eV/atom
# Magnetic moment: 0.0 μB per formula unit
data_MoP
_space_group_name_H-M_alt 'P 21 3'
_space_group_IT_number 198
_space_group_name_Hall 'P 2ac 2ab 3'
_cell_length_a 4.853
_cell_length_b 4.853
_cell_length_c 4.853
_cell_angle_alpha 90.00
_cell_angle_beta 90.00
_cell_angle_gamma 90.00
loop_
_atom_site_label
_atom_site_fract_x
_atom_site_fract_y
_atom_site_fract_z
Mo1 0.127 0.373 0.627
P1 0.086 0.914 0.414

=====

[5]
# V2SnI, relaxed, DFT PBE
# Density: 7.79 g/cm³
# Uncorrected energy: -5.342 eV/atom
# Magnetic moment: 1.5 μB per formula unit
# Formation energy from raw total energies: 0.606 eV per atom
# Energy above the most stable polymorph in this dataset: 0 meV/atom
data_V2SnI
_space_group_name_H-M_alt 'F m -3 m'
_space_group_IT_number 225
_space_group_name_Hall '-F 4 2 3'
_cell_length_a 6.667
_cell_length_b 6.667
_cell_length_c 6.667
_cell_angle_alpha 90.00
_cell_angle_beta 90.00
_cell_angle_gamma 90.00
loop_
_atom_site_label
_atom_site_fract_x
_atom_site_fract_y
_atom_site_fract_z
V1 0.250 0.250 0.250
Sn1 0.000 0.000 0.000
I1 0.000 0.000 0.500

=====

[6]
# SmGdZnAu, relaxed, DFT PBE
# Density: 9.79 g/cm³
+++
Back to the piece
While a number of users tagged the FBI and the Secret Service in the comments section of the video to make them take note of Right Side Broadcasting's reporting, others condemned the reporter for revealing such potentially dangerous information to the public. "I hope thus man has been arrested and charged w sedition," one of them said, while another wrote, "I’m sure the @FBI would love to know about that." A third commented, "Well, good. this gives LEO a free evaluation of their weak spots."
One more said, "@FBI @DHSgov @SecretService @CapitolPolice okay then I guess the FBI, Department of Homeland Security, the Secret Service and the Capitol Police might like to speak to Brian Glenn of Right Side Broadcasting Network." Another noted, "News media should not be permitted to show the lay-out. Very dangerous." A commenter tweeted, "So...putting a target on police and military. The law and order party, right."
## What comes next are calculated crystals, not part of the page
<<<
Density functional theory data (GGA-PBE) for crystalline Ac3GaSb at its relaxed geometry.

abc: 6.8882 11.2298 11.2447
angles: 117.37 90.00 90.00
Closest atoms and distances in Å follow each position.
Sites, in units of the cell vectors:
Ac1 0.2500 0.1164 0.8842  2 Ga 3.02
Ac2 0.0000 0.7500 0.7500  2 Ac 3.44, 2 Ga 3.45, 4 Sb 3.67
Ac3 0.2500 0.6164 0.3842  2 Ga 3.02
Ac4 0.7500 0.4314 0.0694  3 Ga 3.14-3.48
Ac5 0.5000 0.2500 0.2500  2 Ac 3.44, 2 Ga 3.45, 4 Sb 3.67
Ac6 0.5000 0.7500 0.7500  2 Ac 3.44, 2 Ga 3.45, 4 Sb 3.67
Ac7 0.7500 0.9314 0.5694  3 Ga 3.14-3.48
Ac8 0.2500 0.0686 0.4306  3 Ga 3.14-3.48
Ac9 0.2500 0.5686 0.9306  3 Ga 3.14-3.48
Ac10 0.7500 0.3836 0.6158  2 Ga 3.02
Ac11 0.7500 0.8836 0.1158  2 Ga 3.02
Ac12 0.0000 0.2500 0.2500  2 Ac 3.44, 2 Ga 3.45, 4 Sb 3.67
Sb1 0.2500 0.4270 0.5727  9 Ac 3.54-3.67
Sb2 0.7500 0.0730 0.9273  9 Ac 3.54-3.67
Sb3 0.7500 0.5730 0.4273  9 Ac 3.54-3.67
Sb4 0.2500 0.9270 0.0727  9 Ac 3.54-3.67
Ga1 0.2499 0.9060 0.5948  3 Ac 3.02-3.14
Ga2 0.7501 0.0940 0.4052  3 Ac 3.02-3.14
Ga3 0.7499 0.5940 0.9052  3 Ac 3.02-3.14
Ga4 0.2501 0.4060 0.0948  3 Ac 3.02-3.14

Calculated values
density	7503	kg/m³
calculated volume	193	Å³/f.u.
raw formation energy	-0.528	eV per atom
energy	-88.454	eV/cell
total moment	0.00	Bohr magnetons per cell

=====

Density functional theory data (GGA-PBE) for crystalline Ac2GaSb at its relaxed geometry.

abc: 5.6953 5.6953 5.6953
angles: 60.00 60.00 60.00
Closest atoms and distances in Å follow each position.
Sites, in units of the cell vectors:
Sb1 0.5000 0.5000 0.5000  8 Ac 3.49
Ac1 0.7500 0.7500 0.7500  4 Sb 3.49, 4 Ga 3.49
Ac2 0.2500 0.2500 0.2500  4 Sb 3.49, 4 Ga 3.49
Ga1 0.0000 0.0000 0.0000  8 Ac 3.49

Calculated values
density	8205	kg/m³
calculated volume	131	Å³/f.u.
raw formation energy	-0.596	eV per atom
energy	-17.749	eV/cell
total moment	0.00	Bohr magnetons per cell

=====

Density functional theory data (GGA-PBE) for crystalline Ac2GaSb at its relaxed geometry.

abc: 4.6276 4.8200 13.2113
angles: 100.51 90.00 90.00
Closest atoms and distances in Å follow each position.
Sites, in units of the cell vectors:
Ac1 0.7500 0.9395 0.8791  1 Sb 3.31, 6 Ga 3.41-3.42
Ac2 0.2500 0.3171 0.6342  5 Sb 3.34-3.36
Ac3 0.2500 0.0605 0.1209  1 Sb 3.31, 6 Ga 3.41-3.42
Ac4 0.7500 0.6829 0.3658  5 Sb 3.34-3.36
Ga1 0.2500 0.4675 0.9349  2 Ga 2.87
Ga2 0.7500 0.5325 0.0651  2 Ga 2.87
Sb1 0.2500 0.1879 0.3758  6 Ac 3.31-3.36
Sb2 0.7500 0.8121 0.6242  6 Ac 3.31-3.36

Calculated values
density	7399	kg/m³
calculated volume	145	Å³/f.u.
raw formation energy	-0.810	eV per atom
energy	-37.215	eV/cell
total moment	0.00	Bohr magnetons per cell

=====

Density functional theory data (GGA-PBE) for crystalline AcGaSb2 at its relaxed geometry.

abc: 5.5621 5.5621 5.5621
angles: 60.00 60.00 60.00
Closest atoms and distances in Å follow each position.
Sites, in units of the cell vectors:
Sb1 0.7500 0.7500 0.7500  4 Ac 3.41, 4 Ga 3.41
Sb2 0.2500 0.2500 0.2500  4 Ga 3.41, 4 Ac 3.41
Ga1 0.5000 0.5000 0.5000  8 Sb 3.41
>>>
well, good. this gives LEO a free evaluation of their weak spots.
— T in the mountains (@editblue) January 17, 2021
@FBI @DHSgov @SecretService @CapitolPolice okay then I guess the FBI, Department of Homeland Security, the Secret Service and the Capitol Police might like to speak to Brian Glenn of Right Side Broadcasting Network.
— Lori (@Lori47927596) January 18, 2021
News media should not be permitted to show the lay-out. Very dangerous.
— ScubaSuzyQ (@susanmcgraw88) January 17, 2021
So...putting a target on police and military. The law and order party, right.
— Wendy L. Temple (@temple_winds) January 17, 2021
Meanwhile, a Department of Homeland Security intel report says, "We assess that Washington, DC faces a heightened potential for violence the lead up to and on Inauguration Day, based on observable indicators we have monitored since the 2020 presidential election."
new Dept of Homeland Security intel report leaked to me: "We assess that Washington, DC faces a heightened potential for violence the lead up to and on Inauguration Day, based on observable indicators we have monitored since the 2020 presidential election."
— Ken Klippenstein (@kenklippenstein) January 16, 2021
We reported earlier that in a Facebook Live video last week billed as an address to her constituents about the House's efforts to hold President Donald Trump accountable for inciting the riot, Mikie Sherrill recollected what she saw on January 6. She started off with the House's vote to certify Biden's win. Sherrill described Speaker Nancy Pelosi being evacuated from the House chambers even as pandemonium broke. She added she was concerned for her safety and that of her colleagues who were being moved to a secure location. "I was told later that members of that mob had zip ties, were wearing body armor, and were looking to take prisoners...members of Congress," the 48-year-old added.
These calculated crystals were left in the entry by mistake:
Entry 1:
Al2TlOs: relaxed, GGA-PBE.

Lattice parameters (Å, degrees): 3.113 3.736 6.280 90.00 90.00 90.00
Space group Pmm2 (No. 25)
Unique sites:
Al  0.000  0.000  0.000 [1 per cell]
Al  0.500  0.500  0.258 [1 per cell]
Tl  0.500  0.500  0.712 [1 per cell]
Os  0.000  0.000  0.386 [1 per cell]

Relative energy among the computed polymorphs   0.317 eV/atom
Electronic total energy   -20.153 eV for the cell shown
Total moment   0.00 μB/cell

Entry 2:
TaTe2As: relaxed, GGA-PBE.

Lattice parameters (Å, degrees): 3.4480 3.4480 29.1537 90.00 90.00 120.00
Space group R3m (No. 160, hexagonal axes)
Unique sites:
Ta  0.0000  0.0000  0.0000 [3 per cell]
Te  0.0000  0.0000  0.5202 [3 per cell]
Te  0.0000  0.0000  0.7351 [3 per cell]
"I also intend to see that those members of Congress who abetted him — those members of Congress who had groups coming through the capitol that I saw on January 5 for reconnaissance for the next day — those members of Congress who incited the violent crowd, those members of Congress that attempted to help our president undermine our democracy, I'm going see that they're held accountable," Sherrill said.